Domain Names


Domain Names / Most Viewed

Back to the Future Part IV: The Price-Fixing Paradox of the DNS

GenX-ers may remember spending a summer afternoon at the movie theater and seeing the somewhat corny but beloved antics of Marty McFly and Doc as they used a souped-up Delorean to travel the space-time continuum. In Back to the Future Part II, Doc and Marty travel into the future, where the bullying, boorish Biff causes a time-travel paradox when he steals the Delorean and takes a joyride into the past to give his younger self a sports almanac containing the final scores of decades worth of sporting events. more

ISOC-NY EVENT: Dot NYC - How Are We Doing?

The Internet Society - New York Chapter (ISOC-NY) has for some years been following the .nyc and ICANN process on behalf of the NYC community and will, on May 8 2010, host a symposium "dot nyc - How are we doing?" at NYU. At 1pm NYC Council Member Gale Brewer will deliver keynote remarks, then Vendor Eric Brunner-Williams of CORE Internet Council of Registrars will reveal details of their proposal to the City, and Antony Van Couvering of Minds + Machines earlier comments to the City Council concerning their proposal will be shown in video. ...there will be a discussion "What's it for?" about possible applications - civic, community, commercial, and "outside the box" - for a local top level domain. more

Not Another Yearly Recap: What 2018 Tells Us About .brand Domains

It's that special time again! Time to unwind, spend time with loved ones -- and to reflect on another 12 months of progress across the .brand movement. Over the last few years, we've used this end of year assessment and our efforts with MakeWay.World to show you how the industry is being embraced globally -- through a range of examples, statistics and predictions about how the year ahead will be our best ever. more

DOTZON Study: Digital City Brands 2023

We've just published the 2023 edition of the DOTZON study "Digital City Brands." After introducing the study in early 2017, DOTZON has mapped how successful cities are using their Digital City Brands for the seventh year in a row. The Digital City Brand is the digital dimension of the City Brand and mirrors the "Digitalness" of a city. The advent of the Internet was why Digital City Brands came into being in the first place. more

The geoTLD GDPR Survey 2018

The application of the European General Data Protection Regulation (GDPR) to the DNS is a hot topic within the ICANN community. However, since the implementation of the GDPR on May 25th, 2018, there has been little public data on: how many WHOIS data requests have been made at the registry level, and; how the registries are handling them. To further the factual and evidence-based discussion within the ICANN community, we gathered quantitative data about WHOIS access post-GDPR... more

So Many Nonprofits Have Trusted Dot Org for So Long

ICANN's Board will meet soon, perhaps even tomorrow, to discuss the dot-org domain sale. It is a pivotal inflection point in the history of Internet governance. When Internet Society (ISOC) was awarded the dot-org domain over ten other bids in 2002, evaluators voiced concerns about their ability to steward it. The report explains: Some on the Committee expressed concern, however, that ISOC's associations extend only to the networking/connectivity community and not to a broader base... more

NCUC Sends Urgent Plea to the ICANN Board Regarding Recent Changes Affecting Noncommercial Groups

An open letter from nearly 150 individual and organizational members of ICANN's Non-Commercial Users Constituency (NCUC) has been submitted to ICANN's board of directors and CEO. The letter has expresses serious concern over a recent ICANN Board decision regarding the restructuring of the Generic Names Supporting Organization (GNSO). From the letter: "We believe that the Noncommercial Stakeholder Group (NCSG) chartering process has been seriously flawed on both procedural and substantive grounds. We appeal to you to address these problems before permanent damage is done to ICANN's reputation, to the GNSO reform process, and to the interests of noncommercial users of the Internet." more

Record 1
A plane-wave DFT calculation with PBE was carried out for crystalline Ce2DyNbN5 at its relaxed geometry.

The value obtained for the volume is 553.22 Å³/cell. The calculation puts the electronic total energy at -8.90 eV/atom. As for the formation energy (no corrections): -1.32 eV/atom. For the density of states at the Fermi level, the calculation gives 7.484 states/eV/f.u.

The space group is Cmc2_1 (No. 36) and the conventional cell measures 3.540, 13.756 and 11.359 Å, with angles of 90.00, 90.00 and 90.00 degrees. The asymmetric unit holds Ce at (0.000, 0.129, 0.000), Ce at (0.000, 0.138, 0.521), Dy at (0.000, 0.241, 0.268), Nb at (0.000, 0.492, 0.762), N at (0.000, 0.069, 0.306), N at (0.000, 0.278, 0.920), N at (0.000, 0.281, 0.626), N at (0.000, 0.392, 0.357) and N at (0.000, 0.468, 0.098).

---

Record 2
A plane-wave DFT calculation with PBE was carried out for crystalline Pm3Zn4Ge4 at its relaxed geometry.

The value obtained for the volume is 448.96 Å³/cell. The calculation puts the electronic total energy at -4.01 eV/atom. For the density of states at the Fermi level, the calculation gives 3.809 states/eV/f.u.

The space group is Immm (No. 71) and the conventional cell measures 4.178, 4.241 and 25.341 Å, with angles of 90.00, 90.00 and 90.00 degrees. The asymmetric unit holds Pm at (0.000, 0.000, 0.000), Pm at (0.000, 0.500, 0.144), Zn at (0.000, 0.000, 0.250), Zn at (0.000, 0.500, 0.406), Ge at (0.000, 0.000, 0.451) and Ge at (0.000, 0.500, 0.310).

---

Record 3
A plane-wave DFT calculation with PBE was carried out for crystalline KHfMg6O7 at its relaxed geometry.

The value obtained for the volume is 210.21 Å³/cell. The calculation puts the electronic total energy at -5.95 eV/atom. The relative energy among the computed polymorphs comes out at 26 meV per atom. As for the formation energy (no corrections): -2.26 eV/atom. For the density of states at the Fermi level, the calculation gives 1.909 states/eV/f.u.

The space group is P4mm (No. 99) and the conventional cell measures 4.121, 4.121 and 12.380 Å, with angles of 90.00, 90.00 and 90.00 degrees. The asymmetric unit holds K at (0.000, 0.000, 0.000), Hf at (0.500, 0.500, 0.861), Mg at (0.000, 0.000, 0.460), Mg at (0.000, 0.500, 0.261), Mg at (0.000, 0.500, 0.662), Mg at (0.500, 0.500, 0.466), O at (0.000, 0.000, 0.619), O at (0.000, 0.500, 0.427), O at (0.000, 0.500, 0.824), O at (0.500, 0.500, 0.014) and O at (0.500, 0.500, 0.632).

---

Record 4
A plane-wave DFT calculation with PBE was carried out for crystalline Th4Zn3In at its relaxed geometry.

The value obtained for the volume is 208.27 Å³/cell. The calculation puts the electronic total energy at -4.68 eV/atom. For the density of states at the Fermi level, the calculation gives 6.062 states/eV/f.u.
Here the entry continues:

ICM Registry Publicly Posts Filings for Independent Review Panel Against ICANN on .XXX Domain

ICM Registry (proponents of the .xxx initiative) and Stuart Lawley, Chairman and President of the organization, have filed a 522-page brief in the ongoing Independent Review Process that began last June. "In what may prove to be the biggest sleeper Internet governance issue of the year, ICM Registry has publicly posted its filings for the Independent Review Panel that will decide whether ICANN acted improperly in rejecting its application for a .xxx domain," writes Brenden Kuerbis in a post on the IGP blog.  more

Documents from the Independent Review of .XXX TLD Bid Held Last Month are Available Online

An independent review of the .XXX Top-Level Domain application by ICM Reegistry was held in Washington DC last month, September 2009. All the documents from the hearing have now been posted online including witness statements from Vint Cerf, VP and chief Internet evangelist for Google and former Chairman of ICANN; Milton Meuller, Professor and Director of the Telecommunications Network Management Program at the Syracuse University School of Information Studies; Stuart Lawley, Chairman and President of ICM Registry and others. more

A New Analysis of the Newest New-GTLDs

As the new-gTLD programme - the ICANN initiative to add a large number of new domain extensions (top-level domains, or TLDs) to the Internet - continues to see ongoing launches of new TLDs, we conduct a new retrospective of the activity landscape of the most recent extensions to have been launched. This new study focuses on all new-gTLDs to have entered their Sunrise or General Available periods since the start of 2023, following a previous overview by Stobbs of the full new-gTLD landscape. more

ICANN Launches Online Information Center for New gTLDs

ICANN has launched a micro-site to serve as the online source for New Generic Top-Level Domain (New gTLDs) Program. From ICANN's announcement: "ICANN is in the midst of a major campaign to raise awareness around the world about the impact and possibilities of new gTLDs. The new site represents a foundational expression of the campaign. Many more new articles, tools, and materials will be made available in the coming days and weeks." more

SnapNames Faces Lawsuit; Attorney Says Domain Industry Is the Wild West Because It Is Unregulated

A class action lawsuit was filed today in Miami-Dade County Circuit Court on behalf of lead Plaintiff Carlos A. Cueto and others who participated in online auctions for domain names. In the lawsuit, Mr. Cueto alleges that an executive of the company conducting the auctions acted as a shill bidder to manipulate bids. The domain names were auctioned online by Oversee.Net, Inc. subsidiary SnapNames.Com, Inc. "The domain name industry is the wild west of intellectual property because it remains unregulated. The online community has been up in arms over what they feel has been an opaque system that just begs for transparency. It is impossible to know whether you are bidding against someone that isn't working or affiliated with the company conducting the auction," said attorney Santiago A. Cueto. more

National Association of Secretaries of State (NASS) Cautions ICANN on .INC, .LLC, .LLP, .CORP TLDs

Michael Berkens reporting in blog reports: National Association of Secretaries of State (NASS) is an organization whose members include Secretaries of State and Lieutenant Governors of the 50 U.S. states and territories send a letter to ICANN in late July that was just published today, that the new gTLD's .INC, .LLC, .CORP and .LLP.should only be allowed to be registered by 'entities that are appropriately registered and in good-standing with the Secretary of State or other appropriate state agency." more

A Brief History and Recent Developments in the Co-Existence of Web2 and Web3 Domains

The Domain Name System (DNS, aka Web 2) and Web3 platforms are two different naming systems available to internet users. While the DNS (Web2) has been a reliable and trusted internet standard for decades, Web3 platforms (such as ENS, Handshake and Unstoppable) are a relatively new technology deployment that presents unique and different features. more

____________
Record 1
Material: La3CuBr3
Method: DFT, PBE-GGA
State: optimized geometry

Unit cell a=10.561 b=10.561 c=10.561 alpha=109.47 beta=109.47 gamma=109.47
Positions (direct):
La1 0.010 0.019 0.260
La2 0.010 0.490 0.750
La3 0.019 0.260 0.010
La4 0.240 0.260 0.750
La5 0.240 0.481 0.490
La6 0.260 0.010 0.019
La7 0.260 0.750 0.240
La8 0.481 0.490 0.240
La9 0.490 0.240 0.481
La10 0.490 0.750 0.010
La11 0.750 0.010 0.490
La12 0.750 0.240 0.260
Cu1 0.000 0.250 0.500
Cu2 0.250 0.250 0.250
Cu3 0.250 0.500 0.000
Cu4 0.500 0.000 0.250
Br1 0.250 0.758 0.742
Br2 0.250 0.992 0.508
Br3 0.508 0.250 0.992
Br4 0.508 0.758 0.515
Br5 0.515 0.508 0.758
Br6 0.742 0.250 0.758
Br7 0.742 0.992 0.985
Br8 0.758 0.515 0.508
Br9 0.758 0.742 0.250
Br10 0.985 0.742 0.992
Br11 0.992 0.508 0.250
Br12 0.992 0.985 0.742

Results
total magnetization	0.0006	μB/atom
E	-4.617	eV per atom
ΔE_f (raw)	-1.20	eV/atom

Record 2
Material: LiSm2GaTe5
Method: DFT, PBE-GGA
State: optimized geometry

Unit cell a=9.859 b=9.859 c=12.791 alpha=90.00 beta=90.00 gamma=155.11
Positions (direct):
Li1 0.210 0.790 0.500
Li2 0.790 0.210 0.000
Sm1 0.118 0.882 0.163
Sm2 0.132 0.868 0.786
Sm3 0.868 0.132 0.286
Sm4 0.882 0.118 0.663
Ga1 0.426 0.574 0.941
Ga2 0.574 0.426 0.441
Te1 0.043 0.957 0.558
Te2 0.289 0.711 0.150
Te3 0.312 0.688 0.825
Te4 0.356 0.644 0.479
Te5 0.500 0.500 0.265
Te6 0.500 0.500 0.765
Te7 0.644 0.356 0.979
Te8 0.688 0.312 0.325
Te9 0.711 0.289 0.650
Te10 0.957 0.043 0.058

Results
total magnetization	0.0000	μB/atom
E	-4.381	eV per atom
ΔE_f (raw)	-1.04	eV/atom

Record 3
Material: K2YPaS4
Method: DFT, PBE-GGA
State: optimized geometry

Unit cell a=7.017 b=4.017 c=7.788 alpha=90.00 beta=107.20 gamma=90.00
Positions (direct):
K1 0.000 0.000 0.000
K2 0.500 0.500 0.000
Y1 0.000 0.500 0.500
Pa1 0.500 0.000 0.500
S1 0.237 0.000 0.704
S2 0.264 0.500 0.293
S3 0.736 0.500 0.707
S4 0.763 0.000 0.296

Results
total magnetization	0.2432	μB/atom
E	-5.997	eV per atom
ΔE_f (raw)	-1.66	eV/atom

Record 4
Material: LiHgCl2
Method: DFT, PBE-GGA
State: optimized geometry

Unit cell a=3.842 b=3.842 c=7.733 alpha=90.00 beta=90.00 gamma=121.64
Positions (direct):
Li1 0.000 0.000 0.000
Hg1 0.000 0.000 0.500
Cl1 0.500 0.500 0.207
Cl2 0.500 0.500 0.793

Results
excess energy over the best structure of this formula in the dataset	0.107	eV/atom
total magnetization	0.0000	μB/atom
E	-2.324	eV per atom
ΔE_f (raw)	-0.85	eV/atom

Record 5
Material: InTe2NCl
Method: DFT, PBE-GGA
State: optimized geometry

Unit cell a=5.932 b=5.932 c=3.999 alpha=90.00 beta=90.00 gamma=90.00
Positions (direct):
In1 0.000 0.000 0.000
Te1 0.000 0.500 0.000
Te2 0.500 0.000 0.000
N1 0.000 0.000 0.500
Cl1 0.500 0.500 0.500

Results
excess energy over the best structure of this formula in the dataset	0.000	eV/atom
total magnetization	0.0000	μB/atom
E	-2.855	eV per atom
ΔE_f (raw)	0.98	eV/atom

Record 6
Material: SmZrPdRu
Method: DFT, PBE-GGA
State: optimized geometry

Unit cell a=4.830 b=4.830 c=4.830 alpha=60.00 beta=60.00 gamma=60.00
____________

Accountability Initiatives to Secure a Strong Future for .ORG

Last fall, when we put forth our bid to acquire the Public Interest Registry (PIR), our announcement - made jointly with PIR and its parent, the Internet Society - was met with questions. We took them seriously and made a conscious effort to engage with representative members of the .ORG community to deepen our understanding. We found that a consistent message was that the commitments made by Ethos since this fall addressed most of the community's issues, but there was a question as to whether they were enforceable and if so, how? more